Archive for May 2015
Must have attitudes for IT professionals at work
As we all know, the IT industry is still growing and the need of IT professionals are also rising. Every year, huge number of IT students finishes their degrees but the question is, are they ready?
In this article, I will be talking about the attitudes that IT professional and fresh graduates must have in order to stay competitive to be able to cope up with the demands of the industry.
Flexibility - Being flexible means that you could easily adapt with any changes needed. This way, the company could see that even if there would be any sudden changes that could make your work difficult, you're still willing to do it.
Respect - In any office, respect is one of the most important attitudes that every employees must possess. When you respect your fellow employees, a big chance is that they'll also respect you in return. But if you don't respect them, believe me; they'll... ... continue |
MS Office Training, the course that will give you edge at work
Most of you might say that using the said program would be a piece of cake but not to all. There would be those who need real training for them to be really familiarized with the program. I do suggest those who work in offices to give this training a try and I would assure you that you will finish your work faster.
For those working with MS office applications every day, I am pretty sure that there would be times that you spend amount of time in experimenting on how to do a specific task. It would be hard especially if most of you in the office are really not that familiar in using the said program. If there would be deadlines and some formulas are not working, that could be critical.
In this course, you will learn not just Microsoft Word but also Microsoft Excel and PowerPoint. It also includes the... ... continue |
Ways on how developers earn from freeware apps
== Materials data, as found in the file ==
____________
[1]
First-principles (PBE) data for a relaxed La6IrOsPt2 crystal, as listed in Alexandria.

Energy relative to the elements, eV/atom: -0.672
DOS(E_F), states/eV/atom: 0.555
Theoretical density, g/cm3: 8.6
Total magnetization, μB per formula unit: 0.00

Lattice parameters (Å, degrees): 7.2989 7.2989 20.1112 90.00 90.00 120.00
Space group R3 (No. 146, hexagonal axes)
Symmetry-distinct sites (fractional):
La 0.0048 0.3475 0.0000 [9 per cell]
La 0.0121 0.6779 0.8347 [9 per cell]
Ir 0.0000 0.0000 0.7518 [3 per cell]
Os 0.0000 0.0000 0.2522 [3 per cell]
Pt 0.0000 0.0000 0.0806 [3 per cell]
Pt 0.0000 0.0000 0.5808 [3 per cell]

---

[2]
First-principles (PBE) data for a relaxed K6Al3Br14 crystal, as listed in Alexandria.

E_form (uncorrected), eV per formula unit: -32.2
DOS(E_F), states/eV/atom: 0.019
Theoretical density, g/cm3: 2.8
Total magnetization, μB per formula unit: 1.00

Lattice parameters (Å, degrees): 12.2252 12.2252 6.5250 90.00 90.00 120.00
Space group P3 (No. 143)
Symmetry-distinct sites (fractional):
K 0.1091 0.3392 0.0000 [3 per cell]
K 0.4457 0.4306 0.5342 [3 per cell]
Al 0.0000 0.0000 0.6156 [1 per cell]
Al 0.3333 0.6667 0.2825 [1 per cell]
Al 0.6667 0.3333 0.1402 [1 per cell]
Br 0.0000 0.0000 0.2616 [1 per cell]
Br 0.0851 0.5894 0.0264 [3 per cell]
Br 0.1924 0.4593 0.4812 [3 per cell]
Br 0.2041 0.1296 0.7432 [3 per cell]
Br 0.4632 0.1989 0.2659 [3 per cell]
Br 0.6667 0.3333 0.7845 [1 per cell]

---

[3]
First-principles (PBE) data for a relaxed Co2SiTc crystal, as listed in Alexandria.

E_form (uncorrected), eV per formula unit: -0.8
DOS(E_F), states/eV/atom: 0.885
Theoretical density, g/cm3: 8.6
Total magnetization, μB per formula unit: 0.00

Lattice parameters (Å, degrees): 5.7262 5.7262 5.7262 90.00 90.00 90.00
Space group F-43m (No. 216)
Symmetry-distinct sites (fractional):
Co 0.0000 0.0000 0.0000 [4 per cell]
Co 0.2500 0.2500 0.2500 [4 per cell]
Si 0.2500 0.2500 0.7500 [4 per cell]
Tc 0.0000 0.0000 0.5000 [4 per cell]

---

[4]
First-principles (PBE) data for a relaxed Pm4CdCu crystal, as listed in Alexandria.

Energy relative to the elements, eV/atom: 0.099
E above lowest polymorph, meV per atom: 232
DOS(E_F), states/eV/atom: 1.567
Theoretical density, g/cm3: 6.6
Total magnetization, μB per formula unit: 0.00

Lattice parameters (Å, degrees): 5.0177 5.0177 7.5278 90.00 90.00 90.00
Space group P4/mmm (No. 123)
Symmetry-distinct sites (fractional):
Pm 0.0000 0.5000 0.2261 [4 per cell]
Cd 0.0000 0.0000 0.5000 [1 per cell]
Cu 0.5000 0.5000 0.0000 [1 per cell]
____________
Advertisement - Some companies insert their advertisement on free programs in order to let the users know that they are offering or selling a certain product or service. The payment depends on the agreement of the developer and the advertiser. A good example for this one is Facebook, Facebook is free to use but they offer several ways on how companies can advertise.
Premium Version - Many freeware programs has this one wherein they let users download their free version on the net which only has the basic version installed. If the user wants to access the full functions of the program, the user has the option to upgrade the free version into... ... continue |
Advertisement - Some companies insert their advertisement on free programs in order to let the users know that they are offering or selling a certain product or service. The payment depends on the agreement of the developer and the advertiser. A good example for this one is Facebook, Facebook is free to use but they offer several ways on how companies can advertise.
Premium Version - Many freeware programs has this one wherein they let users download their free version on the net which only has the basic version installed. If the user wants to access the full functions of the program, the user has the option to upgrade the free version into... ... continue |
Philippines, one of the slowest internet connections in Asia
There would be several reasons why our internet speed is still among the slowest but I think that the main reason behind is that we still cannot afford to invest on this aspect. If you are going to look at the reports generated by various tests, you will notice that we are still on the very bottom of the graph. I am pretty sure that most of us want blazing internet speeds but to tell you frankly, it still might take several years before we could attain that.
On the ranking of the fastest in Asia, Singapore is on the top of the list and that would not be a surprise. Singapore is basically known as one of the leading countries when it comes to the IT industry and it means that their technology is up to date.
If you will compare, Singapore's internet... ... continue |
Common Problems For The IT Department
Internet Outage - Having no internet is one of the critical problems for the IT department. Not all companies have backup internet connections to use during outage. If ever that your company has no backup connection, it could take a few hours or even days to fix it depending on the cause of the outage.
Inserted here: records of crystals >
~~~
1:
TbDy2Ho6 after structural relaxation. Source: the Alexandria database, functional GGA-PBE.

a = 3.527 Å, b = 8.624 Å, c = 9.320 Å
α = 90.00°, β = 100.84°, γ = 90.06°
Element x y z (fractional)
Tb (0.000, 0.000, 0.000)
Dy (0.445, 0.666, 0.889)
Dy (0.555, 0.334, 0.111)
Ho (0.112, 0.667, 0.223)
Ho (0.222, 0.333, 0.445)
Ho (0.333, 0.000, 0.666)
Ho (0.667, 0.000, 0.334)
Ho (0.778, 0.667, 0.555)
Ho (0.888, 0.333, 0.777)

Calculated values
Symmetry = P-1, No. 2

2:
TbDy2Ho6 after structural relaxation. Source: the Alexandria database, functional GGA-PBE.

a = 8.484 Å, b = 8.484 Å, c = 8.484 Å
α = 48.09°, β = 48.09°, γ = 48.09°
Element x y z (fractional)
Tb (0.000, 0.000, 0.000)
Dy (0.588, 0.588, 0.588)
Dy (0.752, 0.752, 0.752)
Ho (0.055, 0.055, 0.563)
Ho (0.055, 0.563, 0.055)
Ho (0.280, 0.280, 0.770)
Ho (0.280, 0.770, 0.280)
Ho (0.563, 0.055, 0.055)
Ho (0.770, 0.280, 0.280)

Calculated values
Symmetry = R3m, No. 160

1 takes first place; second place is 375 meV per atom up.

1:
TbDy4Ho3 after structural relaxation. Source: the Alexandria database, functional GGA-PBE.

a = 11.186 Å, b = 7.229 Å, c = 6.252 Å
α = 90.00°, β = 90.00°, γ = 90.00°
Element x y z (fractional)
Tb (0.000, 0.125, 0.000)
Tb (0.500, 0.875, 0.500)
Dy (0.000, 0.375, 0.500)
Dy (0.000, 0.625, 0.999)
Dy (0.249, 0.625, 0.333)
Dy (0.251, 0.375, 0.833)
Dy (0.500, 0.375, 0.499)
Dy (0.500, 0.625, 0.000)
Dy (0.749, 0.375, 0.833)
Dy (0.751, 0.625, 0.333)
Ho (0.000, 0.876, 0.500)
Ho (0.250, 0.125, 0.333)
Ho (0.250, 0.875, 0.833)
Ho (0.500, 0.124, 0.000)
Ho (0.750, 0.125, 0.333)
Ho (0.750, 0.875, 0.833)

Calculated values
Symmetry = Pmn2_1, No. 31

2:
TbDy4Ho3 after structural relaxation. Source: the Alexandria database, functional GGA-PBE.

a = 13.251 Å, b = 13.251 Å, c = 3.539 Å
α = 90.00°, β = 90.00°, γ = 155.63°
Element x y z (fractional)
Tb (0.000, 0.000, 0.000)
Dy (0.104, 0.896, 0.500)
Dy (0.223, 0.777, 0.500)
Dy (0.777, 0.223, 0.500)
Dy (0.896, 0.104, 0.500)
Ho (0.345, 0.655, 0.000)
Ho (0.500, 0.500, 0.500)
Ho (0.655, 0.345, 0.000)

Calculated values
Symmetry = Cmmm, No. 65

1 takes first place; second place is 201 meV per atom up.

1:
TbDy3Ho6 after structural relaxation. Source: the Alexandria database, functional GGA-PBE.

a = 11.455 Å, b = 11.455 Å, c = 6.325 Å
α = 90.00°, β = 90.00°, γ = 130.81°
Element x y z (fractional)
Tb (0.161, 0.839, 0.500)
Tb (0.839, 0.161, 0.000)
Dy (0.042, 0.296, 0.474)
Dy (0.296, 0.042, 0.974)
Dy (0.420, 0.580, 0.580)
Dy (0.580, 0.420, 0.080)
Dy (0.704, 0.958, 0.474)
Dy (0.958, 0.704, 0.974)
Ho (0.015, 0.985, 0.304)
Ho (0.105, 0.543, 0.815)
Ho (0.258, 0.379, 0.055)
Ho (0.301, 0.699, 0.276)
Ho (0.379, 0.258, 0.555)
Ho (0.457, 0.895, 0.815)
Ho (0.543, 0.105, 0.315)
Ho (0.621, 0.742, 0.055)
Ho (0.699, 0.301, 0.776)
Ho (0.742, 0.621, 0.555)
Ho (0.895, 0.457, 0.315)
Ho (0.985, 0.015, 0.804)

Calculated values
Symmetry = Cmc2_1, No. 36

2:
TbDy3Ho6 after structural relaxation. Source: the Alexandria database, functional GGA-PBE.
~~~
Power Outage - Here in the Philippines, it is very common to experience power fluctuations. When fluctuations happen, it could cause minor problems on some computers. It is very seldom that companies provide UPS for all computers to prevent problems during fluctuations. For the network related devices, it is a must to have it connected to a UPS so that if ever fluctuations occur, the said devices would not be affected. If network devices are... ... continue |
Basic Functions of an Active Directory
First of all, Active Directory was developed by Microsoft and it is a service that controls both the users and the computers in a specific network. It can control the rights and the limitations of a user. The active directory is capable of disabling programs that are not needed or the folders that you could access. The said program can help the IT department of the company to implement policies and securities that are required.
The Active Directory is also the one being used to create user ID's that could access the domain. It is also where the IT department resets the password if ever a certain user forgot it. It is basically a secured way to access the network. If ever someone wants to access a computer but he/she does not have a valid account, the domain would not allow... ... continue |
New games = new hardware requirements
Hardcore gamers will always make sure that their hardware components are up to date in order to prevent hangs, lags or anything that might cause a bad experience while playing. For those who are not aware, a desktop computer is also considered as a gaming device and it is the one that needs constant upgrading.
New games on the market are being released from time to time and that it why upgrading your hardware is a thing you might want to consider. Most of you might be asking if why it is needed. The answer is simple, new games = new hardware requirements.
In this present time where games looks and feels real already, it would definitely need a video card that is capable of rendering the graphics and a processor that could support them. Your current hardware components might still be capable of running a newly released game but it could only run on its lowest setting. When a game setting is... ... continue |
Worst viruses of all time
Viruses can be very lethal especially for big companies because it can freeze operations and could also damage infected computers. To know how deadly a virus could be, below would be some of the top viruses on the list that resulted to disaster.
I LOVE YOU - The "I LOVE YOU" virus estimated around $10 billion worth of damage. It spread via email and once you have it on your drive, it could copy itself and could stole passwords and send it to hackers.
My Doom - This virus spread via email and also by peer to peer file sharing. The virus forced google to shut down for almost a day. It infected many users because of its deceiving title like "Mail Delivery System" which many users would open especially if they are sending mails at that very moment.
Storm Trojan - The said virus... ... continue |
Ways on how to recover files on a dead hard disk
Retrieving files on a hard disk could be done by using free programs like Recuva, Undelete 360, Wise Data recovery and the like. The said programs will be the very first step that you could use to try recovering your files but if ever that the free programs could not handle the job; there are also those soft wares that you could buy which contains additional features and better support.
In using data recovery soft wares, there is no assurance that you could recover all files but you would not know if it works unless you try. It would be a big relief if ever you could successfully recover your files especially... ... continue |
The end of Microsoft’s Internet Explorer
Windows users are pretty much aware that the default browser that you could use right after you install windows is their Internet Explorer. It is also not new that many users do not like using the said browser due to several reasons.
Even from the start, I personally did not like using internet explorer as my browser because it crashes every now and then which can be very irritating at times. To be honest, you will only see few users that are using IE; you will normally see users using Mozilla Firefox or Google Chrome as their browser.
When it comes to the interface of IE, it looks dull. It looks very simple. Sometimes, people tend to look at the design first before they use it and if they do not like how it looks like; they would not use or even try it anymore.
This time, Microsoft gave it up already after how many years. They will be introducing... ... continue |